Several EU politicians were arrested on Friday and Saturday. Most prominent is Eva Kaili, Greek politician and Vice-President of the European Parliament. The Belgian authorities found “bags full of cash” on her, which is said to have come from Qatar. Kaili and other politician colleagues are in custody. On Monday, the President of the European Parliament wants to discuss with the parliamentary groups whether Kaili should finally be deposed. And the press comments, as is customary in such cases. An overview:
“Augsburger Allgemeine”: “The scandal surrounding EU Parliament Vice President Eva Kaili is shaking political Brussels. If the suspicion is confirmed, this not only means an immense loss of confidence for the MPs of all parties. It would be a catastrophe for the entire EU. As the guardian of Western values and the heart of European democracy, Parliament likes to emphasize the importance of human rights and the rule of law. Europe’s representatives like to play the role of moral mace wielders, especially in the fight against corruption. Often enough they have reason to do so. But the sharpest weapon becomes blunt when there was now ‘gang corruption and money laundering’ in your own shop.”
“Badische Zeitung”: “The European Parliament must now lift the immunity of the suspects immediately and thus ensure that the allegations of corruption against MPs can be cleared up from within their own ranks. (…) The governments of Hungary and Poland, who have been castigated by the European Parliament for violations of the rule of law, are sniffing Now morning air. They don’t want to be pilloried by MPs who can’t keep their own house in order. This is a much bigger problem for the EU than the unclean PR methods of the Gulf emirate that have now been unearthed. ( …) Up until now, Parliament has been the admonishing moral authority. It’s missing now.”
“Frankenpost”: “The scandal is a warning shot for all parliaments – also for the German Bundestag, in which more lobbyists have an ID card than the parliament has members. It is one of the achievements of democracy that the elected representatives of the people can make their decisions freely . If they lose this ability – whether through political pressure, financial influence or threats of violence – democracy is in jeopardy.”
“Süddeutsche Zeitung”: “It could not have been worse for the EU Parliament. After all, its most powerful weapon is morality: the House of Representatives recently celebrated its 70th birthday, proud of its role as the only EU institution which is elected directly by the European people. But it is still not allowed to introduce its own laws; it is often ignored by the Commission and the member states in the current crisis situation. The Parliament is all the more convinced in its role as the guardian of true European values. These values also represents the house when it comes to grievances outside the EU – for example in a resolution that condemned the football World Cup in Qatar as a disgrace.And now you suddenly have a hunch why some social democrats were not so enthusiastic about this resolution .”
“Handelsblatt”: “The EU Parliament sees itself as a pioneer against bribery and corruptibility. For years, MEPs have been demanding that the Union take action against kleptocrats in their own ranks – especially against Hungary’s Prime Minister Viktor Orban, who undermines the rule of law and cultivates favoritism “Now, of all times, when the Commission is finally taking action and is not paying out funds from the EU budget and the Corona recovery fund to Hungary due to a lack of rule of law standards, the corruption case is shaking Brussels. Orban will find it easy to portray his critics as hypocrites. It could become a big one Become a beneficiary of the affair. That must not happen. (…) Although the transparency rules are already strict today, there are gaps in contacts with third countries that need to be closed. The proposal to set up an independent EU ethics committee must also be implemented quickly will.”
“Stuttgarter Nachrichten”: “The worst prejudices about allegedly rapacious politicians and democratic institutions that are remote from the people and degenerating into self-service shops seem to be confirmed. This corruption scandal will further fuel people’s disenchantment with politics. The objection that the disclosure of the probable bribe payments to the Vice President of the European House of Representatives by the police is proof that the control mechanisms are working. Above all, the scandal is a warning shot for all parliaments. This also applies to the German Bundestag, where more lobbyists have house ID cards than parliament has members.”
“Frankfurter Allgemeine Zeitung”: “Why should Qatar bribe a vice-president who hardly anyone outside of her Greek homeland knows and who nobody ever thought of as a center of power in Brussels? (…) It seems as if the emirate on the Gulf took parliament more seriously than the EU citizens he represents themselves.(…) The majority of MEPs should turn their outrage into energy in order to now close a gap in the transparency regime of the EU institutions: Interest representatives from third countries must also Transparency registers are recorded. However, one should not delude oneself. Such a reform would not have prevented a clumsy case of bribery like the one now apparently uncovered – and the battered reputation of Parliament will not be improved that easily either.”
[Calculated molecules, as found in the file]
<<<
{"formula": "C30H46BrHfN3P2Se", "method": "ωB97M-V with the def2-TZVPD basis set", "species": ["C", "C", "C", "C", "N", "C", "C", "C", "C", "C", "C", "C", "C", "C", "Hf", "P", "H", "H", "H", "H", "H", "H", "H", "H", "C", "C", "H", "H", "H", "H", "H", "C", "C", "H", "H", "H", "H", "H", "C", "C", "H", "H", "H", "H", "H", "Br", "P", "C", "C", "H", "H", "H", "H", "H", "C", "C", "H", "H", "H", "H", "H", "C", "C", "H", "H", "H", "H", "H", "C", "N", "C", "C", "N", "C", "C", "Se", "H", "H", "H", "H", "H", "H", "H", "H"], "positions_angstrom": [[-1.617, 5.272, -2.324], [-1.965, 3.964, -2.674], [-2.089, 3.619, -4.023], [-1.905, 4.629, -4.986], [-1.596, 5.875, -4.634], [-1.453, 6.213, -3.357], [-2.076, 2.916, -1.626], [-1.202, 2.141, -0.916], [0.148, 1.688, -0.773], [1.026, 2.140, 0.240], [2.097, 1.358, 0.582], [2.017, -0.087, 0.235], [1.499, -0.246, -1.130], [0.572, 0.633, -1.602], [-3.150, 1.715, -0.337], [3.507, -1.205, 0.387], [-2.294, 2.589, -4.318], [-1.451, 5.545, -1.281], [-2.013, 4.407, -6.050], [-1.208, 7.252, -3.122], [0.069, 0.471, -2.560], [0.791, 3.095, 0.717], [1.834, -1.086, -1.738], [2.928, 1.719, 1.197], [2.904, -2.887, 0.708], [3.912, -4.045, 0.660], [2.094, -3.069, -0.017], [2.421, -2.836, 1.695], [3.806, -4.654, 1.565], [3.685, -4.698, -0.193], [4.961, -3.733, 0.580], [4.451, -1.285, -1.154], [4.804, 0.065, -1.777], [3.872, -1.899, -1.862], [5.357, -1.867, -0.925], [5.145, -0.097, -2.809], [3.938, 0.736, -1.816], [5.616, 0.552, -1.223], [4.424, -0.547, 1.778], [5.665, -1.349, 2.176], [3.706, -0.498, 2.611], [4.695, 0.489, 1.523], [6.240, -0.760, 2.900], [5.398, -2.297, 2.660], [6.323, -1.558, 1.321], [0.703, -0.751, 1.720], [-2.916, -0.611, -0.865], [-1.431, -1.703, -0.866], [-1.525, -3.219, -1.034], [-0.919, -1.470, 0.084], [-0.783, -1.295, -1.653], [-0.507, -3.614, -1.174], [-1.935, -3.718, -0.144], [-2.097, -3.512, -1.924], [-4.088, -1.546, 0.225], [-4.632, -2.891, -0.253], [-4.932, -0.869, 0.437], [-3.559, -1.679, 1.183], [-5.125, -3.407, 0.581], [-5.388, -2.772, -1.036], [-3.853, -3.571, -0.607], [-3.290, -0.647, -2.689], [-3.649, -2.001, -3.306], [-2.390, -0.258, -3.198], [-4.089, 0.086, -2.888], [-4.280, -1.856, -4.193], [-2.763, -2.545, -3.653], [-4.208, -2.643, -2.623], [0.326, 3.119, 3.582], [-0.384, 1.910, 3.947], [-0.026, 1.093, 5.004], [-0.928, 0.081, 5.048], [-1.827, 0.286, 4.016], [-2.951, -0.585, 3.734], [-1.497, 1.418, 3.324], [-2.549, 2.358, 2.064], [-0.315, 3.738, 2.944], [1.254, 2.876, 3.042], [0.591, 3.669, 4.498], [0.811, 1.323, 5.635], [-1.023, -0.745, 5.727], [-2.608, -1.517, 3.257], [-3.457, -0.842, 4.678], [-3.649, -0.066, 3.066]], "homo_ev": [-17.83, -17.83], "largest_force_ev_per_a": 5.345, "mol_weight_g_mol": 848.0, "homo_lumo_gap_ev": [3.75, 3.75], "total_charge": 4}

~~~~~

An isolated molecule of C16H8 in a non-equilibrium geometry, computed with the ωB97M-V functional and the def2-TZVPD basis.

Each line ends with the Mulliken charge.
Cartesian coordinates (Å):
1 C 0.7294 1.3549 -0.5605  -0.331
>>>
[So much for the calculated molecules]
“OM-Medien”: “The question inevitably arises as to whether Qatar can be a good trading partner and is really the lesser evil compared to Russia, as Economics Minister Robert Habeck euphemistically said after the conclusion of the deal on the supply of liquid gas with the emirate This view urgently needs to be corrected after the Brussels parliamentary scandal broke. Even if it is bitter: Germany should not do business with corrupt sheikhs.”